Overwhelmed by SSL activation and installation? Our team of tech professionals can take care of all the hard stuff.
CSR is a plain text file which contains common and alternative hostnames and administrative details of a certificate encoded for a Certificate Authority use.
Follow the instructions below to generate a CSR in WHM for your certificate activation.
1) Log in to your WHM control panel
2) In the SSL/TLS section, click Generate an SSL Certificate Signing Request.
3) On the new page enter the requested company information:
Important: It is obligatory to fill in all the fields (except for Passphrase). Only alphanumeric characters must be used. If not, it is possible that a Certificate Authority will reject the CSR and certificate activation will fail.
Note: Check the box When complete, email me the certificate, key, and CSR in order to get your CSR, self-signed certificate and private key to the email address you mention in the field Email address.
Email. The correct and accessible contact email address should be entered here so that a Certificate Authority can use it to verify domain ownership.
Key size. There are two options: 2048 and 4096.
Generally, any of them can be chosen.
As for 2048 key size, it is considered secure nowadays, however if you would like to have a higher level of security, choose 4096 key size.
Keep in mind that a bigger key size slows down establishment of an SSL/TLS session and increases load on your server’s central processor unit.
Domains. The Common Name is a fully-qualified domain name for which you are going to use your certificate, for instance, the area of your site you wish customers to connect to using SSL. Example: domain.com or www.domain.com.
If the Web address to be used for SSL is sub1.example.com, ensure that the common name submitted in the CSR is sub1.example.com.
If you have a Wildcard certificate, the common name for your certificate should be the following: *.example.com.
Note: Comodo (now Sectigo) certificate ordered for example.com is issued, signed and works both for example.com and www.example.com. And vice versa: if you order a certificate for www.example.com, it will be issued for both www.example.com and example.com.
City. Name of the city in which your organization is registered/located should be listed here. Do not use abbreviations.
State. Name of a state or province where your organization is located. Enter the full name of the state or province.
Country. The country where your organization is registered should be selected.
Company Name. The name of the company you issue certificate for should be entered.
Company Division. This field is used to differentiate between divisions within a company. For instance, Billing or Information Technologies.
Note: If you have a certificate with domain validation, it is not necessary to specify Company Name and Company Division. However, the fields must be filled in, do not leave them blank, put there NA instead.
Misplaced data records =
- - -
Density functional theory data (PBE) for Tm5P12Ir19 after structural relaxation.

Its space-group type is P-62m.

Cell lengths 12.7016, 12.7016, 3.9639 Å; angles 90.00, 90.00, 120.00 degrees
Closest atoms and distances in Å follow each position.
Fractional coordinates of all 36 atoms:
1 Tm 0.0000 0.8151 0.0000  6 P 2.95-3.04, 8 Ir 3.07-3.17
2 Tm 0.1849 0.1849 0.0000  6 P 2.95-3.04, 8 Ir 3.07-3.17
3 Tm 0.3333 0.6667 0.5000  6 P 2.97, 9 Ir 3.10-3.22
4 Tm 0.6667 0.3333 0.5000  6 P 2.97, 9 Ir 3.10-3.22
5 Tm 0.8151 0.0000 0.0000  6 P 2.95-3.04, 8 Ir 3.07-3.17
6 P 0.0000 0.1775 0.5000  5 Ir 2.26-2.40
7 P 0.0000 0.6430 0.5000  3 Ir 2.29-2.35
8 P 0.1710 0.4826 0.0000  5 Ir 2.26-2.45
9 P 0.1775 0.0000 0.5000  5 Ir 2.26-2.40
10 P 0.3115 0.8290 0.0000  5 Ir 2.26-2.45
11 P 0.3570 0.3570 0.5000  3 Ir 2.29-2.35
12 P 0.4826 0.1710 0.0000  5 Ir 2.26-2.45
13 P 0.5174 0.6885 0.0000  5 Ir 2.26-2.45
14 P 0.6430 0.0000 0.5000  3 Ir 2.29-2.35
15 P 0.6885 0.5174 0.0000  5 Ir 2.26-2.45
16 P 0.8225 0.8225 0.5000  5 Ir 2.26-2.40
17 P 0.8290 0.3115 0.0000  5 Ir 2.26-2.45
18 Ir 0.0000 0.0000 0.5000  3 P 2.26
19 Ir 0.0000 0.2836 0.0000  4 P 2.37-2.40
20 Ir 0.0000 0.4628 0.5000  1 P 2.29
21 Ir 0.1340 0.6393 0.0000  2 P 2.26-2.34
22 Ir 0.1810 0.3738 0.5000  4 P 2.35-2.45
23 Ir 0.1928 0.8190 0.5000  4 P 2.35-2.45
24 Ir 0.2836 0.0000 0.0000  4 P 2.37-2.40
25 Ir 0.3607 0.4946 0.0000  2 P 2.26-2.34
26 Ir 0.3738 0.1810 0.5000  4 P 2.35-2.45
27 Ir 0.4628 0.0000 0.5000  1 P 2.29
28 Ir 0.4946 0.3607 0.0000  2 P 2.26-2.34
29 Ir 0.5054 0.8660 0.0000  2 P 2.26-2.34
30 Ir 0.5372 0.5372 0.5000  1 P 2.29
31 Ir 0.6262 0.8072 0.5000  4 P 2.35-2.45
32 Ir 0.6393 0.1340 0.0000  2 P 2.26-2.34
33 Ir 0.7164 0.7164 0.0000  4 P 2.37-2.40
34 Ir 0.8072 0.6262 0.5000  4 P 2.35-2.45
35 Ir 0.8190 0.1928 0.5000  4 P 2.35-2.45
36 Ir 0.8660 0.5054 0.0000  2 P 2.26-2.34

***

Density functional theory data (PBE) for PaIr3 after structural relaxation.

Its space-group type is Pm-3m.

Cell lengths 4.0887, 4.0887, 4.0887 Å; angles 90.00, 90.00, 90.00 degrees
Closest atoms and distances in Å follow each position.
Fractional coordinates of all 4 atoms:
1 Pa 0.0000 0.0000 0.0000  12 Ir 2.89
2 Ir 0.0000 0.5000 0.5000  4 Pa 2.89, 8 Ir 2.89
3 Ir 0.5000 0.0000 0.5000  4 Pa 2.89, 8 Ir 2.89
4 Ir 0.5000 0.5000 0.0000  4 Pa 2.89, 8 Ir 2.89

***

Density functional theory data (PBE) for Ir3Pb after structural relaxation.

The spin magnetization is 0.000 μB per formula unit. Its space-group type is Pm-3m.

Cell lengths 4.0520, 4.0520, 4.0520 Å; angles 90.00, 90.00, 90.00 degrees
Closest atoms and distances in Å follow each position.
Fractional coordinates of all 4 atoms:
1 Ir 0.0000 0.0000 0.5000  4 Pb 2.87, 8 Ir 2.87
2 Ir 0.0000 0.5000 0.0000  4 Pb 2.87, 8 Ir 2.87
3 Ir 0.5000 0.0000 0.0000  4 Pb 2.87, 8 Ir 2.87
4 Pb 0.5000 0.5000 0.5000  12 Ir 2.87

***

Density functional theory data (PBE) for Ir3Pb after structural relaxation.

The spin magnetization is 0.058 μB per formula unit. Its space-group type is I4/mmm.
- - -
Note: It is not obligatory to fill in the field Passphrase. It is created for the challenge password which used to be a shared secret between a certificate applicant and a Certificate Authority. This feature is obsolete nowadays and is not required for your SSL issuance.
4) Click Create.
5) On the next page you will see three fields: Signing Request, Certificate and Private Key.
Signing Request. This is a CSR (Certificate Signing Request) which is needed for your certificate activation on ssls.com.
Certificate. It’s a self-signed, non-trusted certificate issued for your domain. It will not be used further.
Private Key. This is a key necessary for decoding during SSL/TLS handshake once your certificate is installed. Keep in mind that the private key should be saved as it is required for installation of the certificate on the server. Do not give it away to anyone.
Now you have your CSR and there’s only one little thing left is to activate your certificate at https://www.ssls.com/user/certificates.